Woohoo! Who’s in Drew’s conga line?
Our Age of Conversation social media project to benefit Variety, the Children’s Charity has reached our $10,000 goal in less than 2 months time! Drew and Gavin have single-handedly united us in purpose and promise for the children, leveraging the power and perspective of social media to show us how we can merge social causes and humans in a one world view to create change in a heartbeat!
What comes next are data records, not part of the text >
=====
No. 1
The following is a calculated X-ray powder pattern of Sr10Fe3Co2Mo5O30. It was derived from DFT lattice parameters and positions (GGA+U), using CuKα.
Intensities are scaled so that the largest is 100.

Largest 6 diffraction maxima, most intense first, 2θ from 15° to 90°:
hkl 2 3 0, 31.7°, I 100
hkl 2 2 3, 31.3°, I 97
hkl 0 1 -3, 31.6°, I 48
hkl 0 3 1, 31.6°, I 47
hkl 2 5 4, 55.8°, I 39
hkl 4 5 3, 56.1°, I 39

Crystal structure
```
data_Sr10Fe3Co2Mo5O30
_cell_length_a 8.0333
_cell_length_b 9.7559
_cell_length_c 9.8800
_cell_angle_alpha 79.43
_cell_angle_beta 66.03
_cell_angle_gamma 65.69
_symmetry_space_group_name_H-M 'P -1'
_symmetry_Int_Tables_number 2
loop_
_symmetry_equiv_pos_as_xyz
'x,y,z'
'-x,-y,-z'
loop_
_atom_site_label
_atom_site_type_symbol
_atom_site_fract_x
_atom_site_fract_y
_atom_site_fract_z
Sr1 Sr 0.0502 0.2963 0.1016
Sr2 Sr 0.1520 0.9008 0.2989
Sr3 Sr 0.2542 0.5004 0.5002
Sr4 Sr 0.3520 0.0988 0.7002
Sr5 Sr 0.4483 0.7039 0.8995
Fe1 Fe 0.0000 0.0000 0.0000
Fe2 Fe 0.2002 0.1988 0.3999
Co1 Co 0.4008 0.3986 0.7999
Mo1 Mo 0.1011 0.5991 0.1989
Mo2 Mo 0.3014 0.7974 0.6004
Mo3 Mo 0.5000 0.0000 0.0000
O1 O 0.0159 0.7951 0.1028
O2 O 0.0459 0.3025 0.6056
O3 O 0.0564 0.7713 0.6134
O4 O 0.1296 0.4283 0.7873
O5 O 0.1496 0.8992 0.8011
O6 O 0.1839 0.4044 0.2995
O7 O 0.2135 0.9965 0.5048
O8 O 0.2445 0.5036 0.0075
O9 O 0.2566 0.9718 0.0141
O10 O 0.3310 0.6280 0.1847
O11 O 0.3489 0.1010 0.2014
O12 O 0.3810 0.6073 0.7001
O13 O 0.4181 0.1931 0.9047
O14 O 0.4478 0.7008 0.4026
O15 O 0.4549 0.1729 0.4150
```

No. 2
The following is a calculated X-ray powder pattern of NbFe3Co2P6O24. It was derived from DFT lattice parameters and positions (GGA+U), using CuKα.
Intensities are scaled so that the largest is 100.

Largest 6 diffraction maxima, most intense first, 2θ from 15° to 90°:
hkl 1 1 0, 20.4°, I 100
hkl 1 1 3, 24.1°, I 89
hkl 2 -1 6, 33.0°, I 75
hkl 3 0 0, 35.8°, I 42
hkl 3 -2 8, 47.3°, I 31
hkl 2 2 6, 49.5°, I 28

Crystal structure
```
data_NbFe3Co2P6O24
_cell_length_a 8.6914
_cell_length_b 8.6914
_cell_length_c 20.8805
_cell_angle_alpha 90.00
_cell_angle_beta 90.00
_cell_angle_gamma 120.00
_symmetry_space_group_name_H-M 'R 3'
_symmetry_Int_Tables_number 146
_symmetry_space_group_name_Hall 'R 3'
loop_
_atom_site_label
_atom_site_type_symbol
_atom_site_fract_x
_atom_site_fract_y
_atom_site_fract_z
Nb1 Nb 0.0000 0.0000 0.0000
Fe1 Fe 0.0000 0.0000 0.2885
Fe2 Fe 0.0000 0.0000 0.4977
Fe3 Fe 0.0000 0.0000 0.7863
Co1 Co 0.0000 0.0000 0.1493
Co2 Co 0.0000 0.0000 0.6426
P1 P 0.0068 0.7112 0.3923
P2 P 0.0349 0.3670 0.5566
O1 O 0.0038 0.8054 0.4532
O2 O 0.0079 0.1942 0.9508
O3 O 0.0145 0.8307 0.0651
O4 O 0.0186 0.1841 0.5680
O5 O 0.1398 0.4671 0.4980
O6 O 0.1399 0.6718 0.9981
O7 O 0.1670 0.4849 0.8852
O8 O 0.1689 0.6844 0.3845
```

No. 3
The following is a calculated X-ray powder pattern of Fe3CoNi2P6O24. It was derived from DFT lattice parameters and positions (GGA+U), using CuKα.
Intensities are scaled so that the largest is 100.
=====
Our global ‘how to’ guide instills best practices in short, condensed, media sound bites from all of us in our own area of specialization and it’s yours for the asking for under ten bucks! (talk about affordable cause & effect marketing, in ‘pay it forward’ style, whew!)
How often can you receive benefits and know-how of over 100 industry leaders in a handy how-to guide for less than the cost of a dinner out? (how’s THAT for cheesy promo copy?—but hey, it’s true!) Shaping Youth contributed our own ethics in advertising blurb calling for accountability and responsibility in marketing, but clearly these AOC colleagues are proof positive that when marketing folks choose to adopt a cause, the power and momentum is unstoppable.
As Age of Conversation publisher and ‘Servant of Chaos’ Gavin Heaton eloquently said,
“If ideas are the currency of our times then this is, undoubtedly, the age of conversation, for without the art of dialogue, the cut and thrust of debate and discussion, then the economy of ideas would implode under its own heavy weight. Instead, the reverse is true.
Far from seeing an implosion, we are living in a time of proliferation — ideas build upon ideas, discussion grows from seeds of thought and single headlines give rise to a thousand medusa-like simulations echoing words whispered somewhere on the other side of the planet. All this — in an instant.”
An instant indeed. All it takes is an instant to ‘pay it forward’ and make a difference in this big blue marble we call earth.
Already I’m excited about sharing some of these tips with the students in the Global Cooling Collective who are networking in cities worldwide to create a “live earth” movement for local bands and green-minded students!
Their vision is to stream online concerts of student-organized and promoted global Earth Day ’08 events, uniting as “one world” youth for a healthier planet. It began in Korea with teacher Clay Burrel, (who placed a Ning hub here, come join us!) and now it’s spreading worldwide, as students from Kazakhstan, Hawaii, (and soon, Pakistan, India, Zimbabwe, Rwanda, Kenya, Turkey, once I tap my fellow Women Leaders for the World delegates from GWLN to spread the word) all join in the fun and get their own schools and communities involved.
Then there are amazing media techno-leaders like Michele Martin and Beth Kanter who generously share their own tips (like this post, Using Facebook in Your Nonprofit) on ways to make a difference in the nonprofit sector, using media magic. From fruitful projects in Cambodia working one to one, child to child, using media innovation, to the launch of BlogHer’s Act which will put 11,000 media mavens in the driver’s seat to push forward global health care initiatives, the promise and pragmatics of opening conversations is astounding.
[What comes next are data records, not part of the page]
+++
Diffraction record for Pm6ScTe8. The X-ray diffraction stick pattern is theoretical, not measured: it uses a cell relaxed with PBE and a wavelength of 1.5418 Å.
Peak positions follow from Bragg's law for the DFT cell and can differ from measured ones.

Atomic structure:
Cell: 8.8762 8.8762 8.8762 Å, 60.00 60.00 60.00°
Element x y z (fractional)
Pm 0.0000 0.0000 0.5000
Pm 0.0000 0.5000 0.0000
Pm 0.0000 0.5000 0.5000
Pm 0.5000 0.0000 0.0000
Pm 0.5000 0.0000 0.5000
Pm 0.5000 0.5000 0.0000
Sc 0.0000 0.0000 0.0000
Te 0.2430 0.2430 0.7570
Te 0.2430 0.7570 0.2430
Te 0.2430 0.7570 0.7570
Te 0.2500 0.2500 0.2500
Te 0.7500 0.7500 0.7500
Te 0.7570 0.2430 0.2430
Te 0.7570 0.2430 0.7570
Te 0.7570 0.7570 0.2430

Most intense lines, 10° ≤ 2θ ≤ 90°, by angle:
2θ 14.1, rel. 9
2θ 20.0, rel. 8
2θ 28.4, rel. 100
2θ 31.9, rel. 5
2θ 40.7, rel. 76
2θ 50.4, rel. 27
2θ 58.9, rel. 13
2θ 66.6, rel. 34
2θ 74.0, rel. 25
2θ 88.0, rel. 8

Diffraction record for PmSc4Te6. The X-ray diffraction stick pattern is theoretical, not measured: it uses a cell relaxed with PBE and a wavelength of 1.5418 Å.
Peak positions follow from Bragg's law for the DFT cell and can differ from measured ones.

Atomic structure:
Cell: 7.1694 7.1694 21.4355 Å, 90.00 90.00 146.23°
Element x y z (fractional)
Pm 0.1512 0.8488 0.7500
Pm 0.8488 0.1512 0.2500
Sc 0.0931 0.9069 0.1228
Sc 0.0931 0.9069 0.3772
Sc 0.3538 0.6462 0.0339
Sc 0.3538 0.6462 0.4661
Sc 0.6462 0.3538 0.5339
Sc 0.6462 0.3538 0.9661
Sc 0.9069 0.0931 0.6228
Sc 0.9069 0.0931 0.8772
Te 0.0000 0.0000 0.0000
Te 0.0000 0.0000 0.5000
Te 0.1769 0.8231 0.2500
Te 0.2650 0.7350 0.5920
Te 0.2650 0.7350 0.9080
Te 0.4522 0.5478 0.1585
Te 0.4522 0.5478 0.3415
Te 0.5478 0.4522 0.6585
Te 0.5478 0.4522 0.8415
Te 0.7350 0.2650 0.0920
Te 0.7350 0.2650 0.4080
Te 0.8231 0.1769 0.7500

Most intense lines, 10° ≤ 2θ ≤ 90°, by angle:
2θ 27.9, rel. 43
2θ 28.2, rel. 86
2θ 29.3, rel. 31
2θ 30.2, rel. 100
2θ 31.6, rel. 50
2θ 42.9, rel. 21
2θ 43.0, rel. 27
2θ 43.5, rel. 34
2θ 44.9, rel. 25
2θ 52.6, rel. 35

Diffraction record for PmTh7Sc2. The X-ray diffraction stick pattern is theoretical, not measured: it uses a cell relaxed with PBE and a wavelength of 1.5418 Å.
Peak positions follow from Bragg's law for the DFT cell and can differ from measured ones.

Atomic structure:
Cell: 9.3278 9.3278 7.0438 Å, 101.03 101.03 30.97°
Element x y z (fractional)
Pm 0.0000 0.0000 0.0000
Th 0.0000 0.0000 0.5000
Th 0.2019 0.2019 0.1035
Th 0.3951 0.3951 0.6916
Th 0.3989 0.3989 0.2000
Th 0.6011 0.6011 0.8000
Th 0.6049 0.6049 0.3084
Th 0.7981 0.7981 0.8965
Sc 0.1987 0.1987 0.5972
Sc 0.8013 0.8013 0.4028

Most intense lines, 10° ≤ 2θ ≤ 90°, by angle:
2θ 31.1, rel. 100
2θ 36.1, rel. 51
2θ 51.9, rel. 36
2θ 61.7, rel. 29
2θ 61.8, rel. 14
2θ 64.8, rel. 12
2θ 84.8, rel. 12
2θ 84.9, rel. 6
2θ 87.5, rel. 6
2θ 87.6, rel. 7

Diffraction record for PmThSc5. The X-ray diffraction stick pattern is theoretical, not measured: it uses a cell relaxed with PBE and a wavelength of 1.5418 Å.
+++
Virtual teaming enables us to carry forward visions that are awe-inspiring…with human capital that we could never, ever hope to achieve alone. Bravo, Age of Conversation co-authors. You make me so very proud to be a part of this endeavor.
It’s a prototype not only of ‘what is’ but of ‘what could be’ for the future by sanctioning a remarkable, sustainable, vision that shifts the context of media toward positive energy, purpose, and heartfelt meaning.
Clearly the power of the digital dialogue is upon us, and within us…All it takes is vision, know-how, and leadership. Join us? You can support the effort right here, right now. If we can make $10,000 for kids in two months, just think of what we could do in ten. Shall we? I’m in.
Our illustrious leaders: The Age of Conversation
About Drew McClellan: Drew’s Marketing Minute (”tells stories, asks questions, milks sacred cows”…)
About Gavin Heaton: Servant of Chaos (”born on a boat in the Indian ocean…”)
The other 101 Authors/co-contributors:
Great news for a great project, Amy! I think it’s amazing how it all came together and how you were able to make such a difference in 2 months. It’s such a good example of how to tie together the power of blogging, self-publishing, social entrepreneurship, etc. Fabulous!
I agree. I think that is how I discovered your blog, not sure. I purchased a hard copy of the book.
I’m so happy to see the AoC project reach the $10,000 mark! How long will it take to reach $15,000 for Variety?
My guess is ‘not long’ if we keep adding fuel to the fire!
Mack, this has become such a collaborative effort that I’m learning how to prototype it for our OWN nonprofit here at Shaping Youth and pay it forward to other worthy causes that need to learn how to fundraise with natural fits…for example, I was honored to be one of the U.S. delegates for Women Leaders for the World via http://www.gwln.org last month & told them about our AOC experience…
I realized what an incredible ‘story’ a volume of the GWLN graduates would make for THEIR efforts, showing how individual leaders can take a cause from the grassroots level on a global scale and market the ‘before/after’ efforts of these change agents for their future funding to continue their programs as a biz incubator and leadership team. In fact, tonight, I’ll be discussing it with the GWLN team on how to highlight the causes of all the 2007 women leaders who graduated, covering youth arts in Zimbabwe, girls’ education in Rwanda, biodiversity in India, and girls’ as leaders in Istanbul! There’s SO much brain power to be applied on a global scale…AOC has lit up my synapses in creative ways we can ‘be the change’ ourselves…
Ditto to the NP Netsquared/tech crew…they can use AOC as a ‘pilot’ project prototype to launch their OWN how-tos for nonprofits via Lulu…from Beth Kanter in Cambodia to the BlogHer’s Act crew & Britt Bravo’s “Have Fun, Do Good” blog!
I wonder if Drew & Gavin knew they’d end up as Johnny Appleseed planting vision of ‘how-to’ conversations throughout the globe!!
┌──
Starting from the PBE geometry in Alexandria, the powder diffractogram of S was calculated for Cu Ka.
Intensities are scaled so that the largest is 100.

Largest 8 diffraction maxima, in order of rising 2θ, 10° ≤ 2θ ≤ 90°:
- hkl 1 0 1, 17.3 deg, I = 100
- hkl 0 1 3, 19.1 deg, I = 31
- hkl 0 2 2, 21.8 deg, I = 48
- hkl 1 1 2, 21.9 deg, I = 24
- hkl 1 0 3, 23.4 deg, I = 27
- hkl 1 2 0, 24.9 deg, I = 30
- hkl 1 1 3, 25.3 deg, I = 56
- hkl 0 4 4, 44.4 deg, I = 24

```
data_S
_chemical_formula_sum 'S24'
_space_group_name_H-M_alt 'P n n m'
_space_group_IT_number 58
_cell_length_a 5.4201
_cell_length_b 9.4930
_cell_length_c 15.9348
_cell_angle_alpha 90.00
_cell_angle_beta 90.00
_cell_angle_gamma 90.00
loop_
_space_group_symop_operation_xyz
'x,y,z'
'-x,-y,-z'
'-x,-y,z'
'x,y,-z'
'x+1/2,-y+1/2,-z+1/2'
'-x+1/2,y+1/2,z+1/2'
'-x+1/2,y+1/2,-z+1/2'
'x+1/2,-y+1/2,z+1/2'
loop_
_atom_site_label
_atom_site_fract_x
_atom_site_fract_y
_atom_site_fract_z
_atom_site_occupancy
S1 0.0000 0.0000 0.2132 1
S2 0.0221 0.3048 0.1061 1
S3 0.1979 0.8655 0.1367 1
S4 0.2224 0.2549 0.0000 1
```

---

Starting from the PBE geometry in Alexandria, the powder diffractogram of S was calculated for Cu Ka.
Intensities are scaled so that the largest is 100.

Largest 8 diffraction maxima, in order of rising 2θ, 10° ≤ 2θ ≤ 90°:
- hkl 1 1 0, 22.1 deg, I = 100
- hkl 0 0 1, 35.5 deg, I = 20
- hkl 0 4 0, 37.8 deg, I = 13
- hkl 2 0 0, 40.7 deg, I = 13
- hkl 1 1 1, 42.3 deg, I = 29
- hkl 1 5 0, 52.2 deg, I = 11
- hkl 2 0 1, 55.1 deg, I = 10
- hkl 1 5 1, 64.8 deg, I = 12

```
data_S
_chemical_formula_sum 'S4'
_space_group_name_H-M_alt 'C m m m'
_space_group_IT_number 65
_space_group_name_Hall '-C 2 2'
_cell_length_a 4.4312
_cell_length_b 9.5320
_cell_length_c 2.5255
_cell_angle_alpha 90.00
_cell_angle_beta 90.00
_cell_angle_gamma 90.00
loop_
_atom_site_label
_atom_site_fract_x
_atom_site_fract_y
_atom_site_fract_z
_atom_site_occupancy
S1 0.0000 0.1052 0.0000 1
```

---

Starting from the PBE geometry in Alexandria, the powder diffractogram of S was calculated for Cu Ka.
Intensities are scaled so that the largest is 100.

Largest 8 diffraction maxima, in order of rising 2θ, 10° ≤ 2θ ≤ 90°:
- hkl 1 1 0, 20.7 deg, I = 100
- hkl 1 1 1, 29.0 deg, I = 38
- hkl 2 0 1, 31.5 deg, I = 14
- hkl 0 3 1, 41.8 deg, I = 16
- hkl 2 2 1, 47.0 deg, I = 10
- hkl 3 1 1, 48.7 deg, I = 14
- hkl 2 1 2, 52.7 deg, I = 14
- hkl 1 0 3, 64.6 deg, I = 6

```
data_S
_chemical_formula_sum 'S9'
_space_group_name_H-M_alt 'P 32 2 1'
_space_group_IT_number 154
_cell_length_a 8.5966
_cell_length_b 8.5966
_cell_length_c 4.4091
_cell_angle_alpha 90.00
_cell_angle_beta 90.00
_cell_angle_gamma 120.00
loop_
_space_group_symop_operation_xyz
'x,y,z'
'-y,x-y,z+2/3'
'-x+y,-x,z+1/3'
'y,x,-z'
'x-y,-y,-z+1/3'
'-x,-x+y,-z+2/3'
loop_
_atom_site_label
_atom_site_fract_x
_atom_site_fract_y
_atom_site_fract_z
_atom_site_occupancy
S1 0.0000 0.9019 0.3333 1
S2 0.2477 0.5601 0.5598 1
```

---
└──
Sustainable knowledge indeed. Thanks for the ping. —AJ